### File
{"formula": "Mn2CuO4", "functional": "PBE with a Hubbard U", "state": "optimized geometry", "cell": [[0.000, 4.259, 4.259], [4.259, 0.000, 4.259], [4.259, 4.259, 0.000]], "species": ["O", "O", "Mn", "O", "O", "Mn", "Mn", "O", "O", "Mn", "Cu", "O", "O", "Cu"], "fractional_positions": [[0.864, 0.408, 0.864], [0.386, 0.386, 0.386], [0.625, 0.625, 0.125], [0.408, 0.864, 0.864], [0.864, 0.864, 0.408], [0.625, 0.125, 0.625], [0.625, 0.625, 0.625], [0.386, 0.386, 0.842], [0.842, 0.386, 0.386], [0.125, 0.625, 0.625], [0.250, 0.250, 0.250], [0.386, 0.842, 0.386], [0.864, 0.864, 0.864], [0.000, 0.000, 0.000]], "e_tot_ev_per_atom": -6.8268, "crystal_system": "cubic", "e_above_lowest_polymorph_mev_per_atom": 13.4}

* * * * *

[1]
The following is a DFT calculation (PBE) of an optimized crystal structure of Ce2H16S3O20.

Unit cell a=7.496 b=7.496 c=20.906 alpha=96.43 beta=96.43 gamma=63.58
Positions (direct):
1 Ce 0.107 0.268 0.409
2 Ce 0.268 0.107 0.909
3 Ce 0.732 0.893 0.091
4 Ce 0.893 0.732 0.591
5 H 0.136 0.490 0.003
6 H 0.140 0.790 0.942
7 H 0.174 0.423 0.226
8 H 0.185 0.459 0.196
9 H 0.210 0.860 0.558
10 H 0.223 0.659 0.521
11 H 0.308 0.380 0.332
12 H 0.341 0.777 0.979
13 H 0.379 0.618 0.347
14 H 0.380 0.308 0.832
15 H 0.382 0.621 0.153
16 H 0.423 0.174 0.726
17 H 0.429 0.552 0.880
18 H 0.448 0.571 0.620
19 H 0.459 0.185 0.696
20 H 0.490 0.136 0.503
21 H 0.510 0.864 0.497
22 H 0.541 0.815 0.304
23 H 0.552 0.429 0.380
24 H 0.571 0.448 0.120
25 H 0.577 0.826 0.274
26 H 0.618 0.379 0.847
27 H 0.620 0.692 0.168
28 H 0.621 0.382 0.653
29 H 0.659 0.223 0.021
30 H 0.692 0.620 0.668
31 H 0.777 0.341 0.479
32 H 0.790 0.140 0.442
33 H 0.815 0.541 0.804
34 H 0.826 0.577 0.774
35 H 0.860 0.210 0.058
36 H 0.864 0.510 0.997
37 S 0.043 0.270 0.579
38 S 0.237 0.763 0.750
39 S 0.270 0.043 0.079
40 S 0.730 0.957 0.921
41 S 0.763 0.237 0.250
42 S 0.957 0.730 0.421
43 O 0.004 0.598 0.070
44 O 0.007 0.815 0.371
45 O 0.085 0.809 0.697
46 O 0.117 0.142 0.026
47 O 0.142 0.117 0.526
48 O 0.147 0.566 0.454
49 O 0.162 0.383 0.603
50 O 0.165 0.442 0.956
51 O 0.185 0.993 0.129
52 O 0.191 0.915 0.803
53 O 0.212 0.317 0.332
54 O 0.223 0.726 0.565
55 O 0.274 0.777 0.935
56 O 0.317 0.212 0.832
57 O 0.383 0.162 0.103
58 O 0.402 0.996 0.430
59 O 0.434 0.853 0.046
60 O 0.442 0.165 0.456
61 O 0.461 0.475 0.341
62 O 0.475 0.461 0.841
63 O 0.525 0.539 0.159
64 O 0.539 0.525 0.659
65 O 0.558 0.835 0.544
66 O 0.566 0.147 0.954
67 O 0.598 0.004 0.570
68 O 0.617 0.838 0.897
69 O 0.683 0.788 0.168
70 O 0.726 0.223 0.065
71 O 0.777 0.274 0.435
72 O 0.788 0.683 0.668
73 O 0.809 0.085 0.197
74 O 0.815 0.007 0.871
75 O 0.835 0.558 0.044
76 O 0.838 0.617 0.397
77 O 0.853 0.434 0.546
78 O 0.858 0.883 0.474
79 O 0.883 0.858 0.974
80 O 0.915 0.191 0.303
81 O 0.993 0.185 0.629
82 O 0.996 0.402 0.930

Values from the calculation:
E_form, eV/atom: -1.52

---

[2]
The following is a DFT calculation (PBE) of an optimized crystal structure of CeHSO5.

Unit cell a=4.557 b=12.655 c=7.180 alpha=90.00 beta=111.14 gamma=90.00
Positions (direct):
1 Ce 0.162 0.064 0.302
2 Ce 0.162 0.436 0.802
3 Ce 0.838 0.564 0.198
4 Ce 0.838 0.936 0.698
5 H 0.213 0.654 0.976
6 H 0.213 0.846 0.476
7 H 0.787 0.154 0.524
8 H 0.787 0.346 0.024
9 S 0.404 0.146 0.888
10 S 0.404 0.354 0.388
11 S 0.596 0.646 0.612
12 S 0.596 0.854 0.112
13 O 0.195 0.071 0.948
14 O 0.195 0.429 0.448
15 O 0.231 0.246 0.820
16 O 0.231 0.254 0.320
17 O 0.237 0.584 0.041
18 O 0.237 0.916 0.541
19 O 0.307 0.665 0.439
20 O 0.307 0.835 0.939
21 O 0.471 0.097 0.719
22 O 0.471 0.403 0.219
23 O 0.529 0.597 0.781
24 O 0.529 0.903 0.281
25 O 0.693 0.165 0.061
26 O 0.693 0.335 0.561
27 O 0.763 0.084 0.459
28 O 0.763 0.416 0.959
29 O 0.769 0.746 0.680
30 O 0.769 0.754 0.180
31 O 0.805 0.571 0.552
32 O 0.805 0.929 0.052

Values from the calculation:
E_form, eV/atom: -2.48

---

[3]
The following is a DFT calculation (PBE) of an optimized crystal structure of Ce2Si2HRu.

Unit cell a=2.740 b=2.740 c=14.700 alpha=90.00 beta=90.00 gamma=90.00
### Activity
Your job: give back all of the rows earlier on verbatim.
### Solution
{"formula": "Mn2CuO4", "functional": "PBE with a Hubbard U", "state": "optimized geometry", "cell": [[0.000, 4.259, 4.259], [4.259, 0.000, 4.259], [4.259, 4.259, 0.000]], "species": ["O", "O", "Mn", "O", "O", "Mn", "Mn", "O", "O", "Mn", "Cu", "O", "O", "Cu"], "fractional_positions": [[0.864, 0.408, 0.864], [0.386, 0.386, 0.386], [0.625, 0.625, 0.125], [0.408, 0.864, 0.864], [0.864, 0.864, 0.408], [0.625, 0.125, 0.625], [0.625, 0.625, 0.625], [0.386, 0.386, 0.842], [0.842, 0.386, 0.386], [0.125, 0.625, 0.625], [0.250, 0.250, 0.250], [0.386, 0.842, 0.386], [0.864, 0.864, 0.864], [0.000, 0.000, 0.000]], "e_tot_ev_per_atom": -6.8268, "crystal_system": "cubic", "e_above_lowest_polymorph_mev_per_atom": 13.4}

* * * * *

[1]
The following is a DFT calculation (PBE) of an optimized crystal structure of Ce2H16S3O20.

Unit cell a=7.496 b=7.496 c=20.906 alpha=96.43 beta=96.43 gamma=63.58
Positions (direct):
1 Ce 0.107 0.268 0.409
2 Ce 0.268 0.107 0.909
3 Ce 0.732 0.893 0.091
4 Ce 0.893 0.732 0.591
5 H 0.136 0.490 0.003
6 H 0.140 0.790 0.942
7 H 0.174 0.423 0.226
8 H 0.185 0.459 0.196
9 H 0.210 0.860 0.558
10 H 0.223 0.659 0.521
11 H 0.308 0.380 0.332
12 H 0.341 0.777 0.979
13 H 0.379 0.618 0.347
14 H 0.380 0.308 0.832
15 H 0.382 0.621 0.153
16 H 0.423 0.174 0.726
17 H 0.429 0.552 0.880
18 H 0.448 0.571 0.620
19 H 0.459 0.185 0.696
20 H 0.490 0.136 0.503
21 H 0.510 0.864 0.497
22 H 0.541 0.815 0.304
23 H 0.552 0.429 0.380
24 H 0.571 0.448 0.120
25 H 0.577 0.826 0.274
26 H 0.618 0.379 0.847
27 H 0.620 0.692 0.168
28 H 0.621 0.382 0.653
29 H 0.659 0.223 0.021
30 H 0.692 0.620 0.668
31 H 0.777 0.341 0.479
32 H 0.790 0.140 0.442
33 H 0.815 0.541 0.804
34 H 0.826 0.577 0.774
35 H 0.860 0.210 0.058
36 H 0.864 0.510 0.997
37 S 0.043 0.270 0.579
38 S 0.237 0.763 0.750
39 S 0.270 0.043 0.079
40 S 0.730 0.957 0.921
41 S 0.763 0.237 0.250
42 S 0.957 0.730 0.421
43 O 0.004 0.598 0.070
44 O 0.007 0.815 0.371
45 O 0.085 0.809 0.697
46 O 0.117 0.142 0.026
47 O 0.142 0.117 0.526
48 O 0.147 0.566 0.454
49 O 0.162 0.383 0.603
50 O 0.165 0.442 0.956
51 O 0.185 0.993 0.129
52 O 0.191 0.915 0.803
53 O 0.212 0.317 0.332
54 O 0.223 0.726 0.565
55 O 0.274 0.777 0.935
56 O 0.317 0.212 0.832
57 O 0.383 0.162 0.103
58 O 0.402 0.996 0.430
59 O 0.434 0.853 0.046
60 O 0.442 0.165 0.456
61 O 0.461 0.475 0.341
62 O 0.475 0.461 0.841
63 O 0.525 0.539 0.159
64 O 0.539 0.525 0.659
65 O 0.558 0.835 0.544
66 O 0.566 0.147 0.954
67 O 0.598 0.004 0.570
68 O 0.617 0.838 0.897
69 O 0.683 0.788 0.168
70 O 0.726 0.223 0.065
71 O 0.777 0.274 0.435
72 O 0.788 0.683 0.668
73 O 0.809 0.085 0.197
74 O 0.815 0.007 0.871
75 O 0.835 0.558 0.044
76 O 0.838 0.617 0.397
77 O 0.853 0.434 0.546
78 O 0.858 0.883 0.474
79 O 0.883 0.858 0.974
80 O 0.915 0.191 0.303
81 O 0.993 0.185 0.629
82 O 0.996 0.402 0.930

Values from the calculation:
E_form, eV/atom: -1.52

---

[2]
The following is a DFT calculation (PBE) of an optimized crystal structure of CeHSO5.

Unit cell a=4.557 b=12.655 c=7.180 alpha=90.00 beta=111.14 gamma=90.00
Positions (direct):
1 Ce 0.162 0.064 0.302
2 Ce 0.162 0.436 0.802
3 Ce 0.838 0.564 0.198
4 Ce 0.838 0.936 0.698
5 H 0.213 0.654 0.976
6 H 0.213 0.846 0.476
7 H 0.787 0.154 0.524
8 H 0.787 0.346 0.024
9 S 0.404 0.146 0.888
10 S 0.404 0.354 0.388
11 S 0.596 0.646 0.612
12 S 0.596 0.854 0.112
13 O 0.195 0.071 0.948
14 O 0.195 0.429 0.448
15 O 0.231 0.246 0.820
16 O 0.231 0.254 0.320
17 O 0.237 0.584 0.041
18 O 0.237 0.916 0.541
19 O 0.307 0.665 0.439
20 O 0.307 0.835 0.939
21 O 0.471 0.097 0.719
22 O 0.471 0.403 0.219
23 O 0.529 0.597 0.781
24 O 0.529 0.903 0.281
25 O 0.693 0.165 0.061
26 O 0.693 0.335 0.561
27 O 0.763 0.084 0.459
28 O 0.763 0.416 0.959
29 O 0.769 0.746 0.680
30 O 0.769 0.754 0.180
31 O 0.805 0.571 0.552
32 O 0.805 0.929 0.052

Values from the calculation:
E_form, eV/atom: -2.48

---

[3]
The following is a DFT calculation (PBE) of an optimized crystal structure of Ce2Si2HRu.

Unit cell a=2.740 b=2.740 c=14.700 alpha=90.00 beta=90.00 gamma=90.00